Count the lines further below that contain the word "Properties" and give the number alone.
VASP calculation (r²SCAN) on a relaxed Cs3Ge4Au crystal.

Cell and atoms, written as POSCAR:
```
Cs3Ge4Au
1.0
6.1549 0.0000 0.0000
0.0000 7.2750 0.0000
0.0000 0.0000 13.1560
Cs Ge Au
6 8 2
Direct
0.1555 0.2500 0.0162 Cs
0.1555 0.2500 0.4838 Cs
0.8445 0.7500 0.9838 Cs
0.8445 0.7500 0.5162 Cs
0.5670 0.2500 0.2500 Cs
0.4330 0.7500 0.7500 Cs
0.0648 0.5634 0.2500 Ge
0.0648 0.9366 0.2500 Ge
0.9352 0.0634 0.7500 Ge
0.9352 0.4366 0.7500 Ge
0.6647 0.2500 0.6460 Ge
0.6647 0.2500 0.8540 Ge
0.3353 0.7500 0.3540 Ge
0.3353 0.7500 0.1460 Ge
0.3016 0.2500 0.7500 Au
0.6984 0.7500 0.2500 Au
```

Properties
Uncorrected energy, eV per atom: -23.01
Size of the total moment, μB per formula unit: 0.00

=====

VASP calculation (r²SCAN) on a relaxed MgHg crystal.

Cell and atoms, written as POSCAR:
```
MgHg
1.0
3.4471 0.0000 0.0000
0.0000 3.4471 0.0000
0.0000 0.0000 3.4471
Mg Hg
1 1
Direct
0.5000 0.5000 0.5000 Mg
0.0000 0.0000 0.0000 Hg
```

Properties
Uncorrected energy, eV per atom: -26.98
Size of the total moment, μB per formula unit: 0.00

=====

VASP calculation (r²SCAN) on a relaxed PW6Cl17 crystal.

Cell and atoms, written as POSCAR:
```
PW6Cl17
1.0
-3.4189 5.1936 8.1710
3.4191 -5.1934 8.1710
3.4074 5.1860 -8.1709
P W Cl
1 6 17
Direct
0.8161 0.5090 0.3250 P
0.6240 0.2978 0.9217 W
0.6220 0.7113 0.3333 W
0.6168 0.3575 0.2548 W
0.8973 0.6380 0.2548 W
0.9401 0.4246 0.5174 W
0.0928 0.5773 0.5174 W
0.4668 0.0010 0.4678 Cl
0.7672 0.0070 0.7742 Cl
0.4369 0.4992 0.9361 Cl
0.4478 0.1062 0.8440 Cl
0.7372 0.8865 0.3327 Cl
0.4462 0.5955 0.3327 Cl
0.7379 0.3962 0.8440 Cl
0.7639 0.0859 0.1563 Cl
0.0730 0.9147 0.6781 Cl
0.7634 0.6051 0.6781 Cl
0.0704 0.3923 0.1563 Cl
0.1345 0.7515 0.8861 Cl
0.1331 0.2499 0.3831 Cl
0.4715 0.2157 0.2535 Cl
0.0378 0.7819 0.2534 Cl
0.0225 0.3297 0.6887 Cl
0.3589 0.6661 0.6887 Cl
```

Properties
Uncorrected energy, eV per atom: -18.46
Size of the total moment, μB per formula unit: 2.01

=====

VASP calculation (r²SCAN) on a relaxed NdMgAu crystal.

Cell and atoms, written as POSCAR:
```
NdMgAu
1.0
3.8833 -6.7260 0.0000
3.8833 6.7260 0.0000
0.0000 0.0000 4.1631
Nd Mg Au
3 3 3
Direct
0.5850 0.0000 0.0000 Nd
0.0000 0.5850 0.0000 Nd
0.4150 0.4150 0.0000 Nd
0.2396 0.0000 0.5000 Mg
0.0000 0.2396 0.5000 Mg
0.7604 0.7604 0.5000 Mg
0.3333 0.6667 0.5000 Au
0.6667 0.3333 0.5000 Au
0.0000 0.0000 0.0000 Au
```

Properties
Uncorrected energy, eV per atom: -28.77
Size of the total moment, μB per formula unit: 0.00

=====

VASP calculation (r²SCAN) on a relaxed LaNb7O12 crystal.

Cell and atoms, written as POSCAR:
```
LaNb7O12
1.0
-1.9611 -8.7063 -2.4819
7.8611 0.1819 -6.8493
8.6035 -3.5496 5.6537
La Nb O
4 28 48
Direct
0.5166 0.9504 0.3350 La
0.0166 0.5496 0.6650 La
0.4834 0.0496 0.6650 La
0.9834 0.4504 0.3350 La
0.8805 0.8153 0.4191 Nb
0.3805 0.6847 0.5809 Nb
0.1195 0.1847 0.5809 Nb
0.6195 0.3153 0.4191 Nb
0.8837 0.0922 0.2800 Nb
0.3837 0.4078 0.7200 Nb
0.1163 0.9078 0.7200 Nb
0.6163 0.5922 0.2800 Nb
0.8739 0.8825 0.1556 Nb
0.3739 0.6175 0.8444 Nb
0.1261 0.1175 0.8444 Nb
0.6261 0.3825 0.1556 Nb
0.8656 0.0318 0.5883 Nb
0.3656 0.4682 0.4117 Nb
0.1344 0.9682 0.4117 Nb
0.6344 0.5318 0.5883 Nb
0.1277 0.0385 0.1492 Nb
0.6277 0.4615 0.8508 Nb
0.8723 0.9615 0.8508 Nb
0.3723 0.5385 0.1492 Nb
0.8763 0.2320 0.7172 Nb
0.3763 0.2680 0.2828 Nb
0.1237 0.7680 0.2828 Nb
0.6237 0.7320 0.7172 Nb
0.8859 0.6604 0.0003 Nb
0.3859 0.8396 0.9997 Nb
0.1141 0.3396 0.9997 Nb
0.6141 0.1604 0.0003 Nb
0.7727 0.4212 0.7191 O
0.2727 0.0788 0.2809 O
0.2273 0.5788 0.2809 O
0.7273 0.9212 0.7191 O
0.7344 0.0454 0.1519 O
0.2344 0.4546 0.8481 O
0.2656 0.9546 0.8481 O
0.7656 0.5454 0.1519 O
0.7286 0.1867 0.5867 O
0.2286 0.3133 0.4133 O
0.2714 0.8133 0.4133 O
0.7714 0.6867 0.5867 O
0.7703 0.2798 0.2917 O
0.2703 0.2202 0.7083 O
0.2297 0.7202 0.7083 O
0.7297 0.7798 0.2917 O
0.7475 0.9812 0.4239 O
0.2475 0.5188 0.5761 O
0.2525 0.0188 0.5761 O
0.7525 0.4812 0.4239 O
0.2595 0.8786 0.1367 O
0.7595 0.6214 0.8633 O
0.7405 0.1214 0.8633 O
0.2405 0.3786 0.1367 O
0.7660 0.8166 0.0044 O
4